The comical buffoonery of Biden’s new disinformation czarina By Thomas Lifson

I confess to alternating between fear and scornful laughter when it comes to the newly announced Disinformation Governance Board that DHS Secretary Alejandro Mayorkas announced April 27 in a Senate hearing. The blatant violation of the First Amendment, the lack of Congressional authorization, the blatant choice of topics of focus (immigration and Russia in Spanish Language media) right before an election and the utter ridiculousness of the woman named to head, it all make it hard for me to take this Orwellian state organ seriously.

Yet, Joe Biden sits on the Oval Office and commands the federal bureaucracy, which is seeming eager to accommodate plans that would expand their powers over the citizenry.

Still, the selection of Nina Jankowicz to head the organization inclines me to laughter. Tucker Carlson began his May 28, 2022 show with a segment on Jankowicz that was alternately horrifying and hilarious. You must see her TikTok video in which she uses the tune from Mary Poppins, supercalifragilisticexpialidocious, to express her deep thoughts. 

Watch and weep… with tears of laughter:

In New Documentary, Inventor Of mRNA Tech Reiterates Safety Concerns That Got Him Banned By: Alasdaire Fleitas

In a recent documentary about Robert Malone on the Epoch Times’s “Headwind” series, the inventor of mRNA technology slams the current major use of his own invention as unsafe, despite attempts by major communications platforms to shut him down.

(Here the article breaks off for calculated crystals)
____________
No. 1
Fe2IrPd: relaxed, GGA-PBE.

The structure in POSCAR format:
```
Fe2IrPd
1.0
-0.139 -0.389 -2.678
-2.132 -1.636 0.349
-4.558 5.809 -0.608
Ir Fe Pd
1 2 1
direct
0.500 0.500 0.000 Ir
0.000 0.000 0.756 Fe
0.000 0.000 0.244 Fe
0.500 0.500 0.500 Pd
```

***

No. 2
Fe2IrPd: relaxed, GGA-PBE.

The structure in POSCAR format:
```
Fe2IrPd
1.0
3.645 0.000 0.000
0.000 3.870 0.000
0.000 0.000 3.870
Pd Ir Fe
1 1 2
direct
0.500 0.500 0.500 Pd
0.500 0.000 0.000 Ir
0.000 0.500 0.000 Fe
0.000 0.000 0.500 Fe
```

***

No. 3
Fe2Ir2Pd: relaxed, GGA-PBE.

The structure in POSCAR format:
```
Fe2Ir2Pd
1.0
7.213 0.000 0.000
0.000 7.213 0.000
0.000 0.000 2.721
Fe Pd Ir
4 2 4
direct
0.135 0.365 0.000 Fe
0.635 0.135 0.000 Fe
0.365 0.865 0.000 Fe
0.865 0.635 0.000 Fe
0.500 0.500 0.000 Pd
0.000 0.000 0.000 Pd
0.160 0.660 0.500 Ir
0.840 0.340 0.500 Ir
0.340 0.160 0.500 Ir
0.660 0.840 0.500 Ir
```

***

No. 4
Fe3Ir2Pd: relaxed, GGA-PBE.

The structure in POSCAR format:
```
Fe3Ir2Pd
1.0
-1.476 1.715 -1.471
0.707 -1.318 -2.246
-8.771 -6.596 1.108
Ir Fe Pd
2 3 1
direct
0.500 0.500 0.161 Ir
0.500 0.500 0.839 Ir
0.000 0.000 0.000 Fe
0.000 0.000 0.328 Fe
0.000 0.000 0.672 Fe
0.500 0.500 0.500 Pd
```

***

No. 5
FeIrPd: relaxed, GGA-PBE.

The structure in POSCAR format:
```
FeIrPd
1.0
2.726 0.000 0.000
0.000 2.726 0.000
-1.363 -1.363 5.648
Fe Pd Ir
1 1 1
direct
0.329 0.329 0.658 Fe
0.994 0.994 0.989 Pd
0.677 0.677 0.353 Ir
```

***

No. 6
Fe2IrPd: relaxed, GGA-PBE.

The structure in POSCAR format:
```
Fe2IrPd
1.0
3.691 0.000 0.000
0.000 2.697 -0.136
0.000 0.275 5.449
Fe Ir Pd
2 1 1
direct
0.000 0.000 0.763 Fe
0.000 0.000 0.237 Fe
0.500 0.500 0.000 Ir
0.500 0.500 0.500 Pd
```

***

No. 7
FeIrPd: relaxed, GGA-PBE.

The structure in POSCAR format:
```
FeIrPd
1.0
-2.646 0.398 -0.574
0.323 -1.297 -2.388
-2.544 -9.765 4.961
Pd Ir Fe
2 2 2
direct
0.000 0.500 0.907 Pd
0.500 0.000 0.093 Pd
0.000 0.500 0.586 Ir
0.500 0.000 0.414 Ir
0.000 0.500 0.256 Fe
0.500 0.000 0.744 Fe
```

***

No. 8
Fe4Ir15Pd: relaxed, GGA-PBE.

The structure in POSCAR format:
```
Fe4Ir15Pd
1.0
-1.469 3.428 0.911
-2.935 -0.622 -2.394
-9.931 -8.048 14.266
Fe Ir Pd
4 15 1
direct
0.000 0.000 0.201 Fe
0.000 0.000 0.399 Fe
0.000 0.000 0.799 Fe
0.000 0.000 0.601 Fe
0.500 0.500 0.599 Ir
0.000 0.500 0.104 Ir
0.000 0.500 0.699 Ir
0.500 0.000 0.104 Ir
0.500 0.000 0.500 Ir
0.000 0.500 0.500 Ir
0.500 0.000 0.896 Ir
0.500 0.500 0.798 Ir
0.000 0.500 0.301 Ir
0.000 0.500 0.896 Ir
0.500 0.000 0.699 Ir
0.500 0.500 0.000 Ir
0.500 0.500 0.202 Ir
0.500 0.000 0.301 Ir
0.500 0.500 0.401 Ir
0.000 0.000 0.000 Pd
```

***

No. 9
Fe2IrPd: relaxed, GGA-PBE.

The structure in POSCAR format:
```
Fe2IrPd
1.0
4.284 0.000 0.000
2.142 3.710 0.000
2.142 1.237 3.505
Fe Pd Ir
2 1 1
direct
0.000 0.000 0.000 Fe
0.250 0.250 0.249 Fe
0.750 0.750 0.751 Pd
0.500 0.500 0.500 Ir
```

***

No. 10
FeIrPd: relaxed, GGA-PBE.

The structure in POSCAR format:
```
FeIrPd
1.0
2.729 0.000 0.000
-1.365 2.364 0.000
0.000 0.000 6.546
Ir Pd Fe
1 1 1
direct
____________
(Here the article continues)

Malone, a widely cited research scientist who is also a medical doctor, has also been ostracized by some scientists and government agencies since criticizing the widespread use of his own vaccine technology and calling out government agencies for not following proper safety protocols. Major tech companies such as Google and Twitter banned his interviews from their platforms and punish websites that publish his comments.

“I believe that a large fraction of the population accepted the vaccine under coercive conditions and were not provided full informed consent,” Malone told The Federalist in an interview about the documentary. “I suspect that [without coercion] a much smaller fraction of the population would have accepted multiple vaccine doses. Furthermore, if early treatment had been made available, public health outcomes would have been better.”

The Covid-19 injections mandated by many governments and employers are “the largest experiment performed on human beings in the history of the world,” Malone tells journalist Jakobien Huisman in the Epoch Times documentary exploring both his professional career and his electrifying effect on public debate since appearing on “The Joe Rogan Experience.” That viral podcast interview led to massive corporate pressure against Rogan, who agreed to modify his guest list as a result.

Malone believes the new kind of vaccine technology used in the Covid injections, which he helped create, is unsafe. He comes to that conclusion, he says in the documentary, due to the speed at which it was approved, regulatory safety protocols that were not followed, and a lack of rigorously verified data before the medical treatments were forced on millions worldwide.

Our Inhumane Southern Border By Carine Hajjar

Migrants and Americans suffer when the law is absent

Val Verde County, Texas

Star Ranch, half a mile from the Rio Grande, is a popular spot for border crossers to “surrender” and request asylum in the United States. The surrender I witness this morning is as remarkably unremarkable as all the others I have seen in a week of ride-alongs with law enforcement. A family from Colombia — mother, father, and young son — chat calmly with two adult male migrants as a Customs and Border Protection van pulls up. National Guardsmen lean on their vehicles and watch casually. The CBP officer will take the migrants to a processing center, where they will be assessed for asylum eligibility.

I ask the father what the family’s plan is for life in the United States. “Empezar de cero,” he replies: to start from zero. They remind me of Jorge, a Cuban migrant I met days before at an NGO in town. He wanted asylum to pursue “el sueño Americano,” the American dream. Jorge told me he planned to send money to his three kids at home. It is hard not to sympathize. Why not welcome people who want to work, to improve their lives? This is the motivation behind calls to lower the bar for asylum seekers and thereby create a more open, “humane” border.

Look a little further, though, and it becomes clear that the current system is not ready for that idea, no matter how well intentioned. Right now, a more open border is not only dysfunctional, it’s a danger.

The entry is interrupted by records of crystals.
<<<
# 1
ZrTaNb2N: relaxed, PBE.

Symmetry   No. 123
Energy above the most stable polymorph in this dataset   11.4 meV/atom
Uncorrected formation energy   -0.46 eV per atom

Geometry as POSCAR:
```
ZrTaNb2N
1.0
4.273 0.000 0.000
0.000 4.273 0.000
0.000 0.000 4.593
Ta Zr Nb N
1 1 2 1
Direct
0.500 0.500 0.500 Ta
0.000 0.000 0.500 Zr
0.500 0.000 0.000 Nb
0.000 0.500 0.000 Nb
0.000 0.000 0.000 N
```



# 2
Ce3Tl2S6: relaxed, PBE.

Symmetry   No. 12
Uncorrected formation energy   -1.53 eV per atom

Geometry as POSCAR:
```
Ce3Tl2S6
1.0
6.922 0.000 2.058
3.461 6.252 1.029
0.179 0.000 7.817
S Ce Tl
6 3 2
Direct
0.736 0.000 0.804 S
0.398 0.663 0.805 S
0.939 0.663 0.195 S
0.061 0.337 0.805 S
0.602 0.337 0.195 S
0.264 0.000 0.196 S
0.666 0.669 0.000 Ce
0.000 0.000 0.000 Ce
0.334 0.331 0.000 Ce
0.833 0.334 0.500 Tl
0.167 0.666 0.500 Tl
```



# 3
La2NbTl: relaxed, PBE.

Symmetry   No. 166
ΔH_f (0 K)   0.4439 eV per atom
Energy above the most stable polymorph in this dataset   240.9 meV/atom

Geometry as POSCAR:
```
La2NbTl
1.0
-3.107 -1.081 -0.120
-0.611 -3.219 -0.315
-1.298 -2.572 11.614
La Tl Nb
2 1 1
Direct
0.918 0.918 0.246 La
0.082 0.082 0.754 La
0.500 0.500 0.500 Tl
0.000 0.000 0.000 Nb
```



# 4
TcRuF2: relaxed, PBE.

Symmetry   No. 166
Energy above the most stable polymorph in this dataset   0.0 meV/atom
Uncorrected formation energy   -0.45 eV per atom

Geometry as POSCAR:
```
TcRuF2
1.0
4.815 -5.210 4.387
4.179 -6.822 2.361
6.226 -5.129 2.126
F Ru Tc
2 1 1
Direct
0.919 0.919 0.919 F
0.081 0.081 0.081 F
0.500 0.500 0.500 Ru
0.000 0.000 0.000 Tc
```



# 5
Ru2IBr: relaxed, PBE.

Symmetry   No. 225
Energy above the most stable polymorph in this dataset   808.5 meV/atom
Uncorrected formation energy   1.03 eV per atom

Geometry as POSCAR:
```
Ru2IBr
1.0
0.000 3.310 3.310
3.310 0.000 3.310
3.310 3.310 0.000
Ru Br I
2 1 1
Direct
0.250 0.250 0.250 Ru
0.750 0.750 0.750 Ru
0.000 0.000 0.000 Br
0.500 0.500 0.500 I
```



# 6
RbCa2Al: relaxed, PBE.

Symmetry   No. 166
ΔH_f (0 K)   0.1701 eV per atom

Geometry as POSCAR:
```
RbCa2Al
1.0
4.031 0.000 0.000
2.016 3.491 0.000
2.016 1.164 12.607
Al Ca Rb
1 2 1
Direct
0.500 0.500 0.500 Al
0.111 0.111 0.667 Ca
0.889 0.889 0.333 Ca
0.000 0.000 0.000 Rb
```



Spin magnetization, record by record: 0.0 2.0 0.0 1.5 1.7 0.0 μB/cell

* * * * *

Na2As2S5: relaxed, PBE.

Cell lengths 4.553, 7.241, 7.467 Å; angles 103.72, 107.11, 99.68 degrees
Space group P-1 (No. 2)
Asymmetric unit:
Na: 0.004 0.206 0.388
As: 0.231 0.735 0.174
S: 0.122 0.470 0.772
S: 0.148 0.112 0.976
S: 0.500 0.000 0.500

As for the total magnetization: 0.0 μB per formula unit. The energy above the most stable polymorph in this dataset is 0 meV per atom. The uncorrected formation energy is -0.43 eV/atom. The mass density is 2.68 Mg/m³.

KMnIn: relaxed, PBE.

Cell lengths 3.210, 4.422, 12.611 Å; angles 90.00, 90.00, 90.00 degrees
Space group Imm2 (No. 44)
Asymmetric unit:
K: 0.000 0.000 0.000
Mn: 0.000 0.000 0.731
In: 0.000 0.000 0.280
>>>

Last month, Customs and Border Protection had 209,906 encounters — both expulsions and apprehensions — with migrants at the southern border. That number breaks a 22-year record.

Woke Warriors By Rep.Mike Gallagher (R-Wisconsin-District 8)

— Mr. Gallagher  is the ranking member of the Military Personnel Subcommittee of the House Armed Services Committee and a member of the House Permanent Select Committee on Intelligence. As a U.S. Marine Corps officer, he served seven years on active duty, including two deployments to Iraq.

How DEI threatens the DOD

Wolf Warrior II, released in 2017, is the second-highest-grossing Chinese film of all time. Early in the movie, the hero, a former People’s Liberation Army special-ops soldier named Leng Feng, sums up the film’s main message: “The Americans are good for nothing.” Posters promoting the movie featured the tagline “Anyone who offends China, no matter how remote, must be exterminated.” In the climactic scene, an American mercenary named “Big Daddy” is about to kill Leng Feng. As Big Daddy attempts to jam a knife into Leng Feng’s throat, he gloats: “People like you will always be inferior to people like me. Get used to it. Get f***ing used to it.” Spoiler alert: Leng Feng improbably turns the tables, brutally stabbing Big Daddy to death with a bullet he wears as a necklace, the same bullet that Big Daddy used years before to kill Leng Feng’s fiancée.

The movie’s message may be familiar territory for those who have watched the diplomatic corps of the Chinese Communist Party (CCP) operate over the past few years. Responding to the call of General Secretary Xi Jinping to display more “fighting spirit” — and inspired by Leng Feng’s on-screen heroics — CCP officials have adopted a posture known as “Wolf Warrior” diplomacy. CCP Wolf Warriors aggressively confront and criticize China’s competitors abroad and promote CCP propaganda on American social-media platforms (to which Chinese citizens don’t have access). Both the Wolf Warriors and the Wolf Warrior movies are part of a broader effort to discredit democratic and liberal values globally and to demonstrate the superiority of socialism with Chinese characteristics.

Welcome To Stagflation

When it comes to the economy, Democrats like to say it’s unfair to judge a president by his first year in office. Very well. President Biden is now in his second year and now we have the statistical verdict of his economic stewardship rendered by the first-quarter drop in GDP. Stagflation, anyone?

It may well be that the first quarter’s annual GDP growth of -1.4% marks not just the beginning of a period of low or no growth accompanied by inflation, but also the return to the stagflation that ruined the decade of the 1970s and helped destroy the presidency of Jimmy Carter.

And no, you can’t blame Donald Trump anymore for things that go wrong. The economic disasters piling up are now on the progressive Democrats’ tab. They broke it, they bought it.

Biden immediately spun the bad GDP news as due to “technical factors,” including a slowdown in government spending and a decline in net exports, which both contributed to the GDP drop.

“What you’re seeing is enormous growth in the country, that was affected by everything from COVID, and the COVID blockages that occurred along the way,” Biden said, after the Commerce Department delivered the bad news.

“No one is predicting a recession now, they are, some are predicting a recession in 2023. I’m concerned about it,” he said.

“But I know one thing, if our Republican friends are really interested in doing something about dealing with economic growth, they should help us continue to lower the deficit,” Biden added, saying he wants “a tax code that is actually one that works.”


Before he left office, President Donald Trump made good on his vision that hospitals should be transparent about the prices they charge patients for services.

His administration proposed a rule that those prices must be posted online in real time for everyone to see.

If it was price disclosure at the grocery store or the gas station, it wouldn’t have been revolutionary. But, the hospitals went crazy!

In a recent study, 857 out of 1,000 hospitals audited weren’t complying — a full year after the Biden administration finalized the price transparency rule.
Hospitals are slow-walking price transparency. And we found that the Biden administration has yet to levy a single fine!

DHS head Mayorkas spars with House GOP and blames Trump for border troubles by Virginia Aabram,

Homeland Security Secretary Alejandro Mayorkas sparred with Republican members of the House Judiciary Committee over the crisis at the southern border, while he and the Democratic lawmakers blamed the Trump administration for his department’s troubles.

While the GOP members pressed Mayorkas on migration statistics at the Thursday oversight hearing, Democrats acknowledged that he “inherited something of a mess,” as Rep. Zoe Lofgren, a California Democrat, said.

“One of the greatest obstacles we have, Mr. Chairman, is to overcome the distrust that was sown by the prior administration,” Mayorkas told New York Democratic Rep. Jerry Nadler. “Through its global policies, many still feel fearful, given what trauma they experienced and continue to experience.”

Nadler said that “the previous administration did all it could to break our immigration system” by enforcing family separation policies in which “children were literally kidnapped from their mothers and fathers with no plans to reunite them” and doing everything in its “power to block legal pathways.”

Mayorkas, in response to Lofgren’s lamentation of the state of the immigration system left by former President Donald Trump, agreed that “the prior administration decimated the legal immigration system, leaving U.S. Citizenship and Immigration Services, the agency that administers our nation’s legal immigration system, on the brink of bankruptcy.”

Harvard, Slavery and Judaism What the story of Judah Monis tells us about America and the children of Israel. By Ira Stoll

Mr. Stoll is managing editor of Education Next, based at the Harvard Kennedy School.

The first Jew at Harvard was a slaveholder. That’s the bombshell, so far as I can tell, buried in the appendix of the new report “Harvard & the Legacy of Slavery,” released by the university this week.

The report’s “list of human beings enslaved by prominent Harvard affiliates” includes the “enslaved persons” Cuffy and Cicely, owned by Judah Monis. Monis lived from 1683 to 1764 and was an instructor in Hebrew at Harvard College from 1722 to 1760. In researching this article, I discovered a third possible slave, “my Negro child Moreah,” mentioned in Monis’s 1760 will.

I first encountered Monis’s name more than a decade ago while working on a biography of the American revolutionary leader Samuel Adams. Part of the required curriculum for Harvard students from 1735 to 1755 was the study of Hebrew grammar from a textbook written by Monis. That might seem like an obscure detail, but it’s of historical significance because Harvard students in that era included Samuel Adams, his cousin and the future President John Adams, and their fellow signers of the Declaration of Independence John Hancock, Robert Treat Paine, William Williams, and William Ellery.

Monis had converted to Christianity from Judaism one month before joining the Harvard faculty. In a 2018 article for the Harvard Divinity Bulletin, Jon D. Levenson writes that the conversion had been a condition of hiring. The baptism took place in Harvard Yard. “Although doubts about Monis’s sincerity in converting have long been raised, I am certain that he was absolutely sincere in his desire for a Harvard professorship,” Mr. Levenson writes.

The Anti-Israel Past of NYT Jerusalem Bureau’s Latest Hire Alana Goodman

The latest hire in the New York Times‘s Jerusalem Bureau doesn’t exactly have a history of scrupulous objectivity when it comes to the Israeli-Palestinian conflict. Hiba Yazbek, a former intern for Israeli-bashing Rep. Rashida Tlaib (D., Mich.), called herself a victim of Israel’s “mental occupation” and said Palestinians are a “minority in our own land” in a 2020 speech.

Yazbek, who joined the Times as a news assistant last week, deleted similar comments she had posted on Twitter, as well as posts in which she condemned Israel for killing terrorists, according to the media watchdog group Honest Reporting.

Although Yazbek deleted a number of her politically charged posts, she still has a photo of her sitting next to squad member Rep. Alexandria Ocasio-Cortez (D., N.Y.) as her Twitter background. Another photo posted on Twitter shows Yazbek posing with Tlaib. Yazbek interned in 2019 for Tlaib—one of the most vocal anti-Israel members of Congress who has accused the Jewish state of “apartheid.”

The hire is likely to fuel concerns about Times reporting on the Middle East conflict, which pro-Israel watchdog groups claim is deeply skewed against the Jewish state. In 2019, the Times was forced to apologize after publishing an anti-Semitic cartoon that depicted then-Israeli prime minister Benjamin Netanyahu as a dog with a Star of David on his collar, leading a blind President Donald Trump who was drawn wearing a yarmulke.

The outlet also caught flak for publishing a glowing portrayal of Louis Farrakhan and a lengthy interview with Alice Walker that failed to mention their anti-Semitism in 2020. That same year, Times opinion editor Bari Weiss stepped down and said she had faced harassment from colleagues over her support for Israel.

China and Russia’s ‘Space War’: Where Is The US? by Judith Bergman

“Evidence of both nations’ intent to undercut the United States and allied leadership in the space domain can be seen in the growth of combined in-orbit assets of China and Russia, which grew approximately 70% in just two years.” — Kevin Ryder, senior analyst at the U.S. Defense Intelligence Agency (DIA) for space and counterspace, Air Force Magazine April 12, 2022.

Space has already become the scene of an ongoing “shadow war” in which China and Russia conduct attacks against U.S. satellites with lasers, radiofrequency jammers, and cyber-attacks every day, according to General David Thompson, the U.S. Space Force’s first vice chief of space operations.

“The threats are really growing and expanding every single day…. We’re really at a point now where there’s a whole host of ways that our space systems can be threatened…. Hostile action toward our space-based assets is not a question of ‘if,’ but instead, ‘when.'” — General David Thompson, Washington Post, November 30, 2021.

“Fifteen years after China’s ASAT strike, we still lack the ability to defeat an attack on our space systems or launch an offensive strike if circumstances warrant.” — US Air Force Gen. Kevin Chilton (Ret.), former commander of U.S. Strategic Command and Air Force Space Command, The Hill, April 12, 2022.

“The PLA [People’s Liberation Army] will continue to integrate space services… to erode the U.S. military’s information advantage.” — Annual Threat Assessment of the U.S. Intelligence Community, Office of the Director of National Intelligence, February 2022.

“If deterrence were to fail, we would face an adversary that has integrated space into all aspects of their military operations…. Space provides the foundation of everything we do as a joint force, from delivering humanitarian assistance to combat on the ground, in the air, and at sea…. We cannot afford to lose space; without it we will fail.” — General John W. Raymond, U.S. Chief of Space Operations, Space Force News, April 5, 2022.

Space-based threats from China and Russia have grown exponentially in recent years, according to a new report on the issue by the U.S. Defense Intelligence Agency (DIA), published April 12.

“Evidence of both nations’ intent to undercut the United States and allied leadership in the space domain can be seen in the growth of combined in-orbit assets of China and Russia, which grew approximately 70% in just two years,” noted Kevin Ryder, DIA senior analyst for space and counterspace. “This recent and continuing expansion follows a more than 200% increase between 2015 and 2018.”